How to upload a panoramic photo to Instagram. App Store Instapan

Uploading a panoramic photo to Instagram is easy. You can create an Instagram post with multiple photos leading into each other. It will look something like this.

Panoramic photos on Instagram are no different from regular posts with several shots. They can be done manually or using mobile applications. Here's how it's done.

Preparing a panorama manually

  1. Take a panoramic photo. Most modern smartphones and cameras can do this. Please note that in order for a panoramic photograph to come out really well, you may need a tripod.
  2. Open the photo in any graphic editor. You can use professional solutions such as Photoshop, Lightroom and, or Lightroom Mobile, or any other graphic editor of your choice. The editor only needs to be able to cut out image fragments.
  3. Use the photo cropping tool to crop your photo to the desired proportions. If you want your panorama to have three parts, the photo's proportions should be 3:1. For a six-part panorama, the proportions should be 6:1 - and so on. Please note that you cannot insert more than ten squares into one Instagram panorama.
  4. Cut the resulting image into several squares of the same size. This can be done either in your graphic editor or using one of these services:
  1. You will receive several images of the same proportions. Now send them to your phone to upload them in the desired order on Instagram. Or you can upload photos via mobile version site. To create a panorama, you need to place the photos from left to right so that the leftmost part of the photo is first, and the rightmost part is last.

Loading the panorama automatically

You can take a panoramic photo for Instagram using apps like Swipeable for iOS and InSwipe for Android. They are free, and with them you don't have to bother fiddling around with graphic editors.


The iOS app allows you to create panoramic and even 360° looped photos for Instagram. Just select a panoramic photo, and the application will divide it into square segments and apply the necessary filters.


It runs on Android and has similar functionality - it creates seamless panoramas for Instagram. Photos can be scaled or resized. A grid that adapts to the size of the panorama will allow you to cut images exactly in the right places.

You will need


Let's take advantage of the fact that you can upload videos to Instagram. Let's make a 15-second video from our panoramic photo (this is the maximum video length that Instagram allows you to upload). The panoramic shot will move from one edge to the other, creating an interesting animated panorama effect.
So, let's launch Adobe Flash CS5.5 or any other more or less new version. Select the "New..." option from the "File" menu. In the window that opens, select ActionScript 3.0, set the height of the scene equal to the height of your panoramic image in pixels. Set the width to be the same as the height. Leave the frame rate as is.

When the scene is created, go to the "File" menu again. Click "Import" -> "Import to workspace...", or simply press the key combination Ctrl+R. A file selection dialog box will appear. Select your panoramic photo. It should appear in the work area. Let's align it so that it fits in height into the white field of the stage.
If you want your panorama to be left to right, then align your panoramic shot so that left-hand side The photograph was aligned to the left side of the editing frame. If you want the panorama to move from right to left, then align the right side of the photo with the right border of the editing frame.
Don't forget that you can change the viewing scale if the working field does not fit entirely on the screen. At the top right above the work field there is a drop-down menu with viewing scales. The default is "100%".

Now in the "Timeline" working panel, click on the first frame (rectangle with black dot inside) with the right mouse button, and select "Create motion animation" from the menu that appears. Now the 1st frame has been stretched to the 24th frame, because... We set the frame rate to 24 frames per second in the settings.

Now you need to calculate how many frames you need to create. If Instagram allows you to upload 15-second videos, and we set 24 frames per second in the settings, then 24x15=360. That is, we need to create 360 ​​frames.
To do this, take the first frame with the left mouse button and stretch it to the right along the timeline to the 360th frame.

All that remains is to align the panoramic image to the right side of the working field. To do this, select the top tool in the toolbar - "Arrow" (or press the "V" key) - and use the mouse or arrow buttons to align the image along the right border. After this, the motion animation is completed.

Export the resulting animation to video. Select the menu "File" -> Export -> Export video...

Select the file location, set the name and select the “*.AVI” format. Click "Save". Set the video resolution, leave the rest as default and click “OK”.

I don’t know about you, friends, but I really love panoramic shots. They compare favorably with the amount of detail that can fit into an elongated photograph, and are great for shooting landscapes or interesting places. Only here is their application in Instagram quite limited. The user, in fact, has only two options: using third-party applications, post a small photo in which nothing will be visible, or use a fragment of a panorama, which after this action will no longer be such. The situation is almost a dead end, but there is a solution - an application Instapan In just a couple of touches of the screen, you can turn a panoramic photo into a video, ideal for publishing your masterpiece on Instagram.

This is the original photo:

Good is not enough. Launch Instapan and select your panoramic photo that you want to turn into a video.

There are only a few options available to choose from. You can change the borders of the photo, hiding the side areas if necessary. It is possible to change the playback speed (x0.5, x1 and x2), as well as its direction: from left to right or vice versa. All you have to do is tap Save and the video will be saved in the device’s memory, and right from Instapan you can launch Instagram, add a filter and then publish the resulting video from the panoramic photo to your feed.

It turns out like this:

The result is perhaps much better than in the first case. The only limitation of the free Instapan is the presence of the application icon in the corner of the resulting videos. For an in-app purchase of 33 rubles, it is removed.

If you are an active Instagram user and love panoramic photos, then Instapan will help you finally publish them on social network V in the best possible way. A simple and convenient application for mobile photography lovers.

The camera's native panoramic feature is an ideal means of capturing large quantity static objects that simply do not fit into one frame. But there is still one drawback in this photo format - they are not always friendly with export to photo services such as. In this article we will tell you how to upload a panoramic photo to Instagram from an iPhone.

In contact with

When you try to download a panoramic image from the device’s media library through the standard Instagram application for iPhone, you will have to crop the image to a 1 x 1 format, which makes the entire photo feature disappear.

Thanks to free application Instapan can turn a panoramic photo into a short video that can be easily uploaded to Instagram.

1 . Download and open Instapan.

2 . Click on the " Choose from photo Library«.

3 . Select a panoramic photo from your device's library. Photographed iPhone panoramas are automatically saved to the " Panoramas«.

4 . Adjust the moving direction, speed and, if necessary, trim the edges of the panorama. Click the button Save" in the upper right corner.

5 . After a short processing, the video will be automatically saved in the application Photo. Click the button Go to Instagram«.

6 . Select the resulting video and click " Further».

7 . Apply a filter and select a frame for the cover. If necessary, the panoramic video can be trimmed. Click " Further».

9 . The video will be uploaded to the Instagram server and immediately displayed on your page.

Here the piece breaks off for materials data =
=====
Density functional theory data (r²SCAN) for crystalline Fe11Si5 at its relaxed geometry.

Computed properties:
* crystal system: cubic
* ΔH_f (0 K): -0.169 eV per atom
* space-group type: Pm-3m

Lattice parameters (Å, degrees): 5.532 5.532 5.532 90.00 90.00 90.00
Element x y z (fractional)
1 Fe 0.000 0.000 0.500
2 Fe 0.000 0.500 0.000
3 Fe 0.253 0.253 0.253
4 Fe 0.253 0.253 0.747
5 Fe 0.253 0.747 0.253
6 Fe 0.253 0.747 0.747
7 Fe 0.500 0.000 0.000
8 Fe 0.747 0.253 0.253
9 Fe 0.747 0.253 0.747
=====

Note: To remove the Instapan watermark from a panoramic video, you need to purchase the PRO version of the application for 75 rubles.

From now on, your Instagram page will not only show off bright photographs, but also original panoramic videos.

1 Creating a file ActionScript

Let’s take advantage of the fact that Instagram allows you to upload videos up to 15 seconds long. Let's make a 15-second video from our panoramic photo. The panoramic shot will move from one edge to the other, creating an interesting animated panorama effect.

So, let's launch Adobe Flash CS5.5 or any other more or less new version. Select the “Create...” option from the “File” menu. In the window that opens, select ActionScript 3.0, set the height of the scene equal to the height of your panoramic image in pixels. Set the width to be the same as the height. Leave the frame rate as is.

2 Importing a panoramic photo in Adobe Flash

When the scene is created, go to the “File” menu again. Click Import Import to workspace..., or just press the key combination Ctrl+R. A file selection dialog box will appear. Select your panoramic photo. It should appear in the work area. Let's align it so that it fits in height into the white field of the stage.

If you want your panorama to move from left to right, then align your panoramic shot so that the left side of the photo is aligned with the left side of the editing frame. If you want the panorama to move from right to left, then align the right side of the photo with the right border of the editing frame.

Don't forget that you can change the viewing scale if the working field does not fit entirely on the screen. At the top right above the work field there is a drop-down menu with viewing scales. The default is "100%".

2 Creating Animation movement

Now in the work panel Timeline right-click on the first frame (rectangle with a black dot inside) and select the item in the menu that appears Create a motion animation. We created the first second of animation, and now the first frame is stretched to the 24th frame, because... We set the frame rate to 24 frames per second in the settings.

Now you need to calculate how many frames you need to create. If Instagram allows you to upload 15-second videos, and we set 24 frames per second in the settings, then 24×15=360 That is, we need to create 360 ​​frames. To do this, take the first frame with the left mouse button and stretch it to the right along the timeline to the 360th frame.

All that remains is to align the panoramic image to the right side of the working field. To do this, select the top tool in the toolbar - Strelka(or click hotkey "V") - and use the mouse or arrow buttons to align the image along the right border. After this, the motion animation is completed.

3 Export video

Export the resulting animation to video. Selecting a menu File Export Export video... or press the keyboard shortcut Ctrl + Alt + Shift + S.

Select the file location, set the name and select the format *.AVI. Click “Save”. Set the video resolution, leave the rest as default and click “OK”.

Setting video parameters when exporting

4 Video conversion to MP4 format

Files in the AVI format weigh a lot, so it is advisable to convert our video to another video format. We use for this free program AnyVideoConverter or AVC Free. Let's add our avi file (button Add a video), set the output format MP4, click Convert. In a few seconds, the process will be completed and a video file will be created with our panorama, but ten times smaller in volume.

For clarity: my original file in the "avi" format weighed 659 MB, and the converted one weighed only 3.4 MB.

on Instagram

The last step is to download the MP4 video file to the device on which the Instagram application is installed, and then upload the video to Instagram.

In this simple way you can lay out very “long” panoramas, including circular ones. You can combine several panoramic shots in one video and make them move in different directions and with at different speeds, and much more. There can be many ideas here. In general, show your creativity!

Alternative solution

For iPhone owners, everything can be done much easier: there is a special mobile app InstaPan, which greatly simplifies the process of creating similar “live” panoramas. There are no worthy analogues for Android yet, and the only application existing in the official store is much inferior to the original in both quality and performance.

And finally - the result that I got. These are bead patterns at the entrance to the Bead Temple near Bakhchisarai in Crimea. A very beautiful and peaceful place.
